Title: Yu Chen
1 Yu Chen Shoichet Lab Dept of Pharm. Chem. UCSF
2PDB Content Growth
3Resolution determines the map quality Atomic
resolution 1.2 Ã… 400 structures
James Holton, ALS
4Resolution determines the map quality
James Holton, ALS
53-1 Ã…
Information vs Resolution
6Structures less biased to library stereochemistry
Multiple conformations for flexible residues
Direct visualization of atom types and hydrogen
The Joy of High-Resolution Structures
??-lactamase hydrolyzing ?-lactam antibiotics
8Classes A, C and D serine-active
enzymes best studied examples Class A TEM,
SHV Class C AmpC
Class A TEM-1 (286aa)
Classe B metallo-enzymes
Class C AmpC (357aa)
Four classes of ?-lactamases
9Acylation transition state
De-acylation transition state
? Reaction cycle of TEM-1?-lactamase
10Acylation transition state
De-acylation transition state
? Reaction cycle of TEM-1?-lactamase
11Acylation transition state
• Crystal structures that have nothing to do with the page:
Record 1
VASP calculation (GGA-PBE) on MgBrN2 after structural relaxation.

Its density of states at the Fermi level is 8.8 states/eV/cell. The calculation puts the total energy at -4.108 eV/atom. The value obtained for the energy relative to the lowest polymorph listed for this composition is 0.0 meV per atom. The calculation puts the uncorrected formation energy at 871 meV/atom. The total magnetization comes out at 0.00 μB/cell.

Cell lengths 3.3650, 3.3650, 17.6366 Å; angles 90.00, 90.00, 120.00 degrees
With the nearest neighbours (Å) after each atom.
Space group R-3m (No. 166, hexagonal axes)
Asymmetric unit:
1 Mg 0.0000 0.0000 0.0000 x3  6 N 2.20
2 Br 0.0000 0.0000 0.5000 x3  2 N 1.90
3 N 0.0000 0.0000 0.3921 x6  1 Br 1.90

---

Record 2
VASP calculation (GGA-PBE) on LiPaAs2 after structural relaxation.

The calculation puts the total energy at -5.929 eV/atom. The value obtained for the energy relative to the lowest polymorph listed for this composition is 52.9 meV per atom. The total magnetization comes out at 0.00 μB/cell.

Cell lengths 6.8331, 6.8331, 6.8331 Å; angles 90.00, 90.00, 90.00 degrees
With the nearest neighbours (Å) after each atom.
Space group Fm-3m (No. 225)
Asymmetric unit:
1 Li 0.0000 0.0000 0.0000 x4  8 As 2.96
2 Pa 0.0000 0.0000 0.5000 x4  8 As 2.96
3 As 0.2500 0.2500 0.2500 x8  4 Li 2.96, 4 Pa 2.96

~~~~~

[1]
An optimized crystal structure of K2Tm2RhO6. Source: Alexandria, functional PBE-GGA.

The structure belongs to space group C2/m (No. 12); the cell edges are 5.709, 9.802 and 6.570 Å and the angles 90.00°, 105.34° and 90.00°. The distinct sites, in fractional coordinates, are K at (0.000, 0.161, 0.000), Tm at (0.000, 0.335, 0.500), Rh at (0.000, 0.000, 0.500), O at (0.208, 0.158, 0.673) and O at (0.245, 0.500, 0.675).

The value obtained for the mass density is 5.8 g/cm3. The value obtained for the total energy is -145.50 eV for the cell shown. The calculation puts the uncorrected formation energy at -2.228 eV/atom. The calculation puts the density of states at the Fermi level at 0.671 states/eV per atom.

---

[2]
An optimized crystal structure of InP2PtCl. Source: Alexandria, functional PBE-GGA.

The structure belongs to space group P4/mmm (No. 123); the cell edges are 5.040, 5.040 and 4.842 Å and the angles 90.00°, 90.00° and 90.00°. The distinct sites, in fractional coordinates, are In at (0.000, 0.000, 0.000), P at (0.000, 0.500, 0.000), Pt at (0.500, 0.500, 0.500) and Cl at (0.000, 0.000, 0.500).

The value obtained for the mass density is 5.5 g/cm3. The value obtained for the total energy is -15.53 eV for the cell shown. The calculation puts the uncorrected formation energy at 1.184 eV/atom. The value obtained for the relative energy among the computed polymorphs is 973 meV per atom. The calculation puts the density of states at the Fermi level at 0.613 states/eV per atom.

---

[3]
An optimized crystal structure of Ce3Bi2Pb. Source: Alexandria, functional PBE-GGA.
De-acylation transition state
? Reaction cycle of TEM-1?-lactamase
12Acylation transition state
De-acylation transition state
? Reaction cycle of TEM-1?-lactamase
13Acylation transition state
De-acylation transition state
? Reaction cycle of TEM-1?-lactamase
14Acylation transition state
De-acylation transition state
? Reaction cycle of TEM-1?-lactamase
(Attached: crystal structures)
-- begin --
Computed, not measured: crystalline Mg30NbNiO32 at its relaxed geometry at the GGA+U level of DFT.

Cell lengths 8.5433, 8.5433, 8.5441 Å; angles 90.00, 90.00, 90.00 degrees
Fractional coordinates of all 64 atoms:
Mg 0.0000 0.0000 0.0000
Mg 0.0000 0.2493 0.2504
Mg 0.0000 0.2493 0.7496
Mg 0.0000 0.5000 0.0000
Mg 0.0000 0.5000 0.5000
Mg 0.0000 0.7507 0.2504
Mg 0.0000 0.7507 0.7496
Mg 0.2476 0.2476 0.5000
Mg 0.2481 0.5000 0.2483
Mg 0.2481 0.5000 0.7517
Mg 0.2476 0.7524 0.5000
Mg 0.2493 0.0000 0.2504
Mg 0.2493 0.0000 0.7496
Mg 0.2498 0.2498 0.0000
Mg 0.2498 0.7502 0.0000
Mg 0.5000 0.0000 0.0000
Mg 0.5000 0.0000 0.5000
Mg 0.5000 0.2481 0.2483
Mg 0.5000 0.2481 0.7517
Mg 0.5000 0.5000 0.0000
Mg 0.5000 0.7519 0.2483
Mg 0.5000 0.7519 0.7517
Mg 0.7502 0.2498 0.0000
Mg 0.7502 0.7502 0.0000
Mg 0.7507 0.0000 0.2504
Mg 0.7507 0.0000 0.7496
Mg 0.7524 0.2476 0.5000
Mg 0.7519 0.5000 0.2483
Mg 0.7519 0.5000 0.7517
Mg 0.7524 0.7524 0.5000
Nb 0.5000 0.5000 0.5000
Ni 0.0000 0.0000 0.5000
O 0.0000 0.0000 0.2487
O 0.0000 0.0000 0.7513
O 0.0000 0.2494 0.0000
O 0.0000 0.2492 0.5000
O 0.0000 0.5000 0.2486
O 0.0000 0.5000 0.7514
O 0.0000 0.7506 0.0000
O 0.0000 0.7508 0.5000
O 0.2374 0.5000 0.5000
O 0.2484 0.5000 0.0000
O 0.2494 0.0000 0.0000
O 0.2492 0.0000 0.5000
O 0.2500 0.2500 0.2504
O 0.2500 0.2500 0.7496
O 0.2500 0.7500 0.2504
O 0.2500 0.7500 0.7496
O 0.5000 0.0000 0.2486
O 0.5000 0.0000 0.7514
O 0.5000 0.2374 0.5000
O 0.5000 0.2484 0.0000
O 0.5000 0.5000 0.2375
O 0.5000 0.5000 0.7625
O 0.5000 0.7516 0.0000
O 0.5000 0.7626 0.5000
O 0.7500 0.2500 0.2504
O 0.7500 0.2500 0.7496
O 0.7500 0.7500 0.2504
O 0.7500 0.7500 0.7496
O 0.7506 0.0000 0.0000
O 0.7508 0.0000 0.5000
O 0.7516 0.5000 0.0000
O 0.7626 0.5000 0.5000

Calculated values
Space-group type ... P4/mmm
Density ... 3.7 g/cm3
Calculated total energy ... -384.6 eV for the cell shown

=====

Record 1
A geometry-optimized Tm3Co6Sn5 structure. Source: Alexandria via LeMat-Bulk, functional PBE.

Unit cell a=8.043 b=8.043 c=8.043 alpha=148.88 beta=107.34 gamma=81.13
Fractional coordinates of all 14 atoms:
Tm: 0.000 0.000 0.000
Tm: 0.318 0.318 0.000
Tm: 0.682 0.682 0.000
Co: 0.164 0.892 0.272
Co: 0.309 0.500 0.809
Co: 0.380 0.108 0.272
Co: 0.620 0.892 0.728
Co: 0.691 0.500 0.191
Co: 0.836 0.108 0.728
Sn: 0.018 0.676 0.342
Sn: 0.335 0.676 0.658
Sn: 0.500 0.000 0.500
Sn: 0.665 0.324 0.342
Sn: 0.982 0.324 0.658

Properties
The formation energy is -0.3320 eV per atom. As for the space group: No. 71.

Record 2
A geometry-optimized ScMnTl structure. Source: Alexandria via LeMat-Bulk, functional PBE.

Unit cell a=3.233 b=3.233 c=7.007 alpha=90.00 beta=90.00 gamma=120.00
Fractional coordinates of all 3 atoms:
Sc: 0.000 0.000 0.000
Mn: 0.333 0.667 0.698
Tl: 0.667 0.333 0.369

Properties
The formation energy is 0.2099 eV per atom. As for the space group: No. 156.

Record 3
A geometry-optimized Sr2EuBr structure. Source: Alexandria via LeMat-Bulk, functional PBE.

Unit cell a=3.928 b=3.928 c=10.765 alpha=90.00 beta=90.00 gamma=90.00
-- stop --
15Acylation transition state
De-acylation transition state
? Reaction cycle of TEM-1?-lactamase
16Acylation transition state
De-acylation transition state
? Transition State analog Boronic Acid
17Space group P212121
Rwork 9.10 Rfree 11.17
60 residues modeled in multiple
conformations 70 hydrogen atoms observed in
Fo-Fc difference map at 1.5 sigma level
0.85 Ã… structure of TEM-1 M182T ?-lactamase
Minasov, Wang Shoichet, JACS, 1245333-40
18(a) Asp273 atom types
(b) Met69Hydrogen atoms
Structural details revealed by high-res data
Blue density 2Fo-Fc electron density map used to
fit the model Red density positive peaks in
Fo-Fc map used to show the difference between
data and model (Fo, Fobserved Fc, Fcalculated)
19(a) 1.7 Ã…
(b) 0.85 Ã…
Glu 58 Structural details revealed by high-res
20? General base for acylation step
21(a) Glu 166 vs (b) Lys 73
? General base for acylation step
22Before proton transfer
After proton transfer
Seeing is believing Glu166 as general base
23? General base for acylation step
24Space group C2
Rwork 13.2 Rfree 16.4
15 residues currently modeled in multiple
1.07 Ã… structure of AmpC ?-lactamase (under
25Thr 316 (1.07 Ã…)
Thr 316 (1.8 Ã…)
Double conformations in the active site
26Asp 10
Glu 228
Radiation Damage de-carboxylation of acidic side
Magenta density negative peaks in Fo-Fc map
used to show the difference between data and
27Tyr 150
Lys 67
Asn 152
Lys 315
Boronic acid
Thr 316
Active site of AmpC ?-lactamase deacylation
transition state
Y150 protonating Ser64?
Visualization of active site residues
protonation state help identify their catalytic
A less-biased and detailed ultra-high resolution
structure can provide a better template for drug
discovery, with more information on side-chain
comformations and less ambiguity in atom types or
hydrogen positions.
Experimental data to compare with computational
Brian Shoichet George Minasov Xiaojun
Wang Richard Bonnet John Irwin Sandri
Soelaiman Ruth Brenk Binqing Wei Alan
Graves Federica Morandi Veena Thomas Brian
Feng OpenEye